### Work order
Reproduce only the lines underneath with the word "Total" in them.

### Contents
+++
Computed, not measured: crystalline LaSbTe at its relaxed geometry at the GGA-PBE level of DFT.

a = 6.0832 Å, b = 6.0832 Å, c = 6.0832 Å
α = 138.58°, β = 138.58°, γ = 60.01°
Atoms (fractional coordinates):
La (0.0000, 0.0000, 0.0000)
Sb (0.6217, 0.6217, 0.0000)
Te (0.3448, 0.3448, 0.0000)

Results
Total energy: -4.981 eV/atom
Calculated volume: 97.5 Å³/cell
ρ: 6.61 g/cm³
Formation energy (no corrections): -0.92 eV/atom



Computed, not measured: crystalline K5Na3Ta5Nb3O24 at its relaxed geometry at the GGA-PBE level of DFT.

a = 8.0473 Å, b = 8.0500 Å, c = 8.0964 Å
α = 89.88°, β = 89.90°, γ = 89.94°
Atoms (fractional coordinates):
K (0.0000, 0.0000, 0.0000)
K (0.0000, 0.0004, 0.4994)
K (0.9996, 0.5012, 0.4995)
K (0.4996, 0.9999, 0.0002)
K (0.5001, 0.9999, 0.4993)
Na (0.4914, 0.4930, 0.9826)
Na (0.4926, 0.4933, 0.4849)
Na (0.9921, 0.4920, 0.9833)
Ta (0.2468, 0.2490, 0.2452)
Ta (0.2491, 0.2506, 0.7467)
Ta (0.2496, 0.7473, 0.7451)
Ta (0.7476, 0.2508, 0.7448)
Ta (0.7480, 0.7473, 0.7459)
Nb (0.2438, 0.7443, 0.2429)
Nb (0.7424, 0.7413, 0.2437)
Nb (0.7456, 0.2459, 0.2430)
O (0.0037, 0.2577, 0.7586)
O (0.0042, 0.7510, 0.7590)
O (0.0059, 0.2607, 0.2541)
O (0.0057, 0.7533, 0.2565)
O (0.2541, 0.0049, 0.7569)
O (0.2549, 0.0077, 0.2547)
O (0.2551, 0.2607, 0.0060)
O (0.2547, 0.5038, 0.7596)
O (0.2554, 0.7497, 0.0059)
O (0.2565, 0.2581, 0.5071)
O (0.2566, 0.7513, 0.5090)
O (0.2611, 0.5044, 0.2588)
O (0.5032, 0.2597, 0.7591)
O (0.5036, 0.2602, 0.2562)
O (0.5038, 0.7498, 0.7602)
O (0.5049, 0.7548, 0.2578)
O (0.7508, 0.2582, 0.5087)
O (0.7524, 0.0052, 0.7576)
O (0.7530, 0.5052, 0.2586)
O (0.7526, 0.7525, 0.5095)
O (0.7537, 0.2605, 0.0055)
O (0.7544, 0.5041, 0.7617)
O (0.7552, 0.0072, 0.2555)
O (0.7548, 0.7510, 0.0063)

Results
Total energy: -8.015 eV/atom
Calculated volume: 524.5 Å³/cell
ρ: 5.80 g/cm³
Formation energy (no corrections): -2.57 eV/atom



Computed, not measured: crystalline CdAg2Se2O6 at its relaxed geometry at the GGA-PBE level of DFT.

a = 5.3980 Å, b = 5.3980 Å, c = 7.0805 Å
α = 113.73°, β = 113.73°, γ = 65.01°
Atoms (fractional coordinates):
Cd (0.0000, 0.0000, 0.0000)
Ag (0.1766, 0.1766, 0.6010)
Ag (0.8234, 0.8234, 0.3990)
Se (0.4246, 0.4246, 0.2486)
Se (0.5754, 0.5754, 0.7514)
O (0.2106, 0.6710, 0.7278)
O (0.2641, 0.2641, 0.9924)
O (0.3290, 0.7894, 0.2722)
O (0.6710, 0.2106, 0.7278)
O (0.7359, 0.7359, 0.0076)
O (0.7894, 0.3290, 0.2722)

Results
Total energy: -4.574 eV/atom
Calculated volume: 164.3 Å³/cell
ρ: 5.88 g/cm³
Formation energy (no corrections): -0.63 eV/atom



Computed, not measured: crystalline NaCa2NdO4 at its relaxed geometry at the GGA-PBE level of DFT.

a = 5.9010 Å, b = 3.5056 Å, c = 5.9759 Å
α = 90.00°, β = 108.15°, γ = 90.00°
Atoms (fractional coordinates):
Na (0.0000, 0.0000, 0.0000)
Ca (0.0000, 0.5000, 0.5000)
Ca (0.5000, 0.0000, 0.5000)
Nd (0.5000, 0.5000, 0.0000)
O (0.2598, 0.0000, 0.7521)
O (0.2690, 0.5000, 0.2650)
O (0.7310, 0.5000, 0.7350)
O (0.7402, 0.0000, 0.2479)

Results
Total energy: -6.495 eV/atom
Calculated volume: 117.5 Å³/cell
ρ: 4.40 g/cm³
Formation energy (no corrections): -2.75 eV/atom



Computed, not measured: crystalline Ba2CaTl2 at its relaxed geometry at the GGA-PBE level of DFT.

a = 10.4734 Å, b = 10.4734 Å, c = 10.4734 Å
α = 153.43°, β = 153.43°, γ = 37.93°
Atoms (fractional coordinates):
Ba (0.1139, 0.1139, 0.0000)
Ba (0.8861, 0.8861, 0.0000)
Ca (0.5000, 0.5000, 0.0000)
+++

### Worked solution
Total energy: -4.981 eV/atom
Total energy: -8.015 eV/atom
Total energy: -4.574 eV/atom
Total energy: -6.495 eV/atom